Good Grief, Charlie Brown! Wounds into Wisdom (Using Tarot and Oracle Cards to Explore our Grief)
by Lezli Censullo
Oh no, not more Grief! I can almost hear you all exclaiming! — and yes, that is indeed our topic for this week. Good f’ing grief!
As you can perhaps imagine, Kayce’s blog last week has stayed with me and sent me into a deep dive about how grief functions and what we can learn from it. About how there are all kinds of grief — we all have losses of various kinds, shadow memories, disappointments, dreams unfulfilled, disappointments, etc. that, as Connie Zweig says in her book The Inner Work of Age, Shifting from Role to Soul, have “shaped a story that we have told ourselves over and over again.”
Studies have shown that in later life especially, there is a widespread desire for emotional repair. Rabbi Tirzah Firestone’s book From Wounds to Wisdom takes an especially interesting look at this as well. And I believe that grief can be one of the lights that guides our way.
There are many ways to turn our wounds into wisdom. One of the ways is to invite what I call our Grief Muse into conversation and one of the best ways I know to converse with my Muses is through the Tarot. The following tarot spread can be used as journaling prompts for those of you who prefer that way, and/or with oracle cards as well. There is no right or wrong way to engage the Muse!
This spread has two parts. The first part is based on Elizabeth Kubler Ross’ stages of grief, which include Denial, Anger, Bargaining, Depression and Acceptance. These stages are not linear. Sometimes we experience them all at once, sometimes we bounce from one to the other like a ping pong ball. Connie Sweig suggests adding another “stage” to the list — Renewal. She says, “Renewal suggests that we have undergone a transformative transition and accepted that we are now a different person in a different reality. We are shifting from role to soul.” She continues, “This is where we witness our sorrow and disorientation, and more easily return to center and remember who we are.”
So, in the spirit of curiosity, let’s ask some questions about grief that can help us turn our wounds into wisdom, and discover who we are in the process of becoming.
Getting Ready to Engage: I invite you to fix yourself a cup of tea, get comfy and breathe. You may have a particular grief in mind and you may not. It doesn’t matter. The Muse will know what you need and that wisdom is already available inside of you.
The Tarot Spread for Exploring Grief: (It doesn’t matter whether you have identified a grief or not. The spread will show you where grief is pointing you.)
Molecular data that have nothing to do with the article >
=====
# 1
A gas-phase ion, CH3Cl3N2P (charge +1). Source: the Open Molecules 2025 dataset; level of theory: ωB97M-V/def2-TZVPD.

The geometry in XYZ format:
```
10
Properties=species:S:1:pos:R:3:mulliken_charge:R:1
C -0.71549 -0.12924 0.89794 -0.08
N 0.43763 -0.18083 0.40801 -0.15
N 2.45943 0.59710 -1.57111 -0.43
P 3.19882 0.10753 -0.34017 0.92
Cl 4.22479 1.55659 0.50562 -0.04
Cl 4.22502 -1.57082 -0.55801 -0.06
Cl 1.72986 -0.46865 1.52685 0.04
H -1.59838 0.11562 0.19123 0.26
H 2.31200 0.18315 -2.48109 0.30
H -0.90206 -0.42824 1.89912 0.25
```

Properties
Calculated total energy (hartree): -1871.00281
Total charge: +1



# 2
2 unconnected molecules or ions with the total composition FHNO3. Source: the Open Molecules 2025 dataset; level of theory: ωB97M-V/def2-TZVPD.

The geometry in XYZ format:
```
6
Properties=species:S:1:pos:R:3:mulliken_charge:R:1
N -0.01107 -0.49934 -0.13963 0.93
O -0.38107 -1.48465 0.37322 -0.57
O -0.00804 -0.30348 -1.34980 -0.47
O 0.84796 0.30386 0.90400 -0.46
F -1.47066 0.90127 -0.04493 -0.79
H 1.02289 1.08233 0.25713 0.35
```

Properties
Calculated total energy (hartree): -380.80875
Total charge: -1



# 3
A molecular structure, C5H31O12. Source: the Open Molecules 2025 dataset; level of theory: ωB97M-V/def2-TZVPD.

The geometry in XYZ format:
```
48
Properties=species:S:1:pos:R:3:mulliken_charge:R:1
C 1.73148 -1.20080 -2.28876 -0.52
O 0.63691 -0.88298 -3.18129 -0.62
C 1.21125 -1.34231 -0.90170 0.29
C 1.24109 -0.04920 -0.01388 0.92
C 2.56662 0.25487 0.61730 -0.78
C 2.91118 -0.70163 1.79260 -0.58
O 1.93214 -0.45764 2.84339 -0.55
H 2.23017 -2.13818 -2.63928 0.19
H 2.41588 -0.38091 -2.55308 0.31
H 0.16603 -1.62668 -0.74596 -0.32
H 1.72218 -2.16133 -0.37482 0.31
H 0.49300 -0.09586 0.77231 -0.70
H 0.97595 0.78390 -0.64090 0.41
H 3.46369 0.25387 0.00071 0.35
H 2.48861 1.29718 0.99433 0.20
H 2.83899 -1.72176 1.47725 0.27
H 3.83090 -0.51477 2.33947 0.37
H 1.10518 -0.88395 2.56416 0.40
H -0.21361 -1.27680 -2.91874 0.26
H -1.36570 -3.45251 -2.67216 0.29
O -1.54164 -2.51635 -2.78574 -0.69
H -1.32277 1.41025 0.75971 0.36
H -1.51312 3.05747 0.76098 0.29
O -0.83099 2.37057 0.78831 -0.78
H -2.04836 -1.03150 0.13804 0.37
H -3.01362 0.28258 0.43720 0.08
O -2.05256 0.20237 0.53851 -0.80
H 0.39231 2.00481 2.50870 0.32
H 1.34671 1.22972 3.51510 0.40
O 0.57142 1.82882 3.45081 -0.81
H -0.08448 3.36616 -0.84941 0.24
H 1.15796 4.06841 -0.48705 0.31
O 0.82683 3.48811 -1.17775 -0.60
H -1.53291 -2.19301 -1.84455 0.39
H -2.73696 -2.60752 0.04173 0.22
O -1.87964 -2.16429 -0.09442 -0.93
H -0.84949 0.58303 -3.37965 0.43
H -2.16178 -0.25993 -3.49438 0.28
O -1.80087 0.63286 -3.52702 -0.64
H -0.49001 -2.65671 1.30218 0.31
H -0.95542 -1.57757 2.16934 0.40
O -0.17313 -2.14802 2.07613 -0.77
H -1.90445 0.29267 2.27672 0.42
H -1.01920 0.84212 3.33714 0.52
O -1.65833 0.11364 3.21672 -0.78
H -1.60319 2.59828 -1.24553 0.22
H -2.99318 2.20342 -1.69566 0.31
O -2.51106 2.87708 -1.20713 -0.60
```

Properties
Calculated total energy (hartree): -1112.05191
Total charge: -1
=====
Denial: What have I denied that my soul is now ready to explore?
Anger: How is my soul now ready to fight for true sovereignty?
Bargaining: What blaming pattern is my soul now ready to release?
Depression: What is the boulder in my gut that won’t move trying to protect me from?
Acceptance: What sovereign truth is my soul now ready to trust?
Renewal: How/where am I ready to shift from role to soul?
** Moving Forward: The Creativity Journey and Spread
The whole idea of renewal implies creativity and asking What is Possible instead of what is no longer possible. Let’s ask the 5 Elements to help us explore what is ready to be created now that we have explored our Grief.
From Air: What is the most important lesson I’ve learned over the course of my life?
From Fire: What passion does my inner Elder need to express?
From Water: How do I best express love and compassion for self and others?
From Earth: What right action can I take to see my true creative legacy begin or continue to take form? From Majors: What does Spirit want me to know about my journey?
Okay, that’s a lot!
What wisdom did you discover? I’d really like to know. Please share and let’s co-mingle our wisdoms in the cauldron of the Garden..
Good grief, my friends!
PS: Please don’t hesitate to reach out to me if you have any questions about using these questions. I’m here to help.